Discovering WhatsApp Business API

Jitesh Dugar
WATI — WhatsApp Team Inbox
6 min readSep 16, 2020

On a consumer level, WhatsApp is known by most as a popular instant messaging tool to keep in touch with family and friends.

But some will have also realized that it goes beyond personal use and have started to use it to contact businesses for customer service-related queries.

Likewise, if you’re a small business, you’re perhaps already using the WhatsApp Business app yourself to respond to these queries.

There’s no denying that the free app offers plenty of handy features for small businesses and entrepreneurs. But as you scale your company, you may start to find them limiting and insufficient and be on the hunt for more advanced features.

Enter: WhatsApp Business API.

If you’re in the process of growing and need a tool to handle your business’s customer service at scale, read on.

In this article, we’ll provide you with an overview of WhatsApp Business API, what it offers, how to get it, and more.

What is WhatsApp Business API?

To understand how WhatsApp Business API came about, we need to take a quick trip down memory lane.

WhatsApp itself needs no introduction and we’re going to take a not-so-wild guess that you’re already familiar with the messaging app so we’ll keep this part short.

Launched in 2009, WhatsApp Messenger was designed for personal use — mainly for people to chat and keep in touch with friends and family.

Easy-to-use, completely free, and with the ability to communicate across borders, the app was eventually also picked up by businesses and organizations around the world.

Understanding that there was a demand for more advanced and enterprise features, WhatsApp got to work.

## Quantum chemistry results, kept here for reference
[1]
{
  "formula": "H30O15",
  "method": "ωB97M-V with the def2-TZVPD basis set",
  "homo_energy_ev": -9.25,
  "e_above_lowest_kj_mol": 220.2,
  "energy_ev": -31199.38360,
  "lumo_ev": -1.18,
  "charge": 0,
  "elements": ["O", "H", "H", "O", "H", "H", "O", "H", "H", "O", "H", "H", "O", "H", "H", "O", "H", "H", "O", "H", "H", "O", "H", "H", "O", "H", "H", "O", "H", "H", "O", "H", "H", "O", "H", "H", "O", "H", "H", "O", "H", "H", "O", "H", "H"],
  "positions_angstrom": [[-1.865, -3.294, -0.934], [-2.338, -2.497, -0.638], [-1.578, -2.976, -1.792], [0.328, -2.550, 2.476], [0.899, -1.948, 1.970], [-0.543, -2.130, 2.330], [-2.368, 1.755, 0.098], [-3.253, 1.602, 0.415], [-2.556, 2.100, -0.785], [2.787, 0.229, -2.438], [3.763, 0.208, -2.542], [2.563, 0.988, -1.818], [1.700, 0.109, 2.713], [2.346, 0.365, 2.082], [0.856, 0.393, 2.414], [-3.161, -0.888, -1.144], [-4.120, -0.697, -1.120], [-2.872, -0.198, -0.565], [0.007, 0.768, -2.246], [-0.109, 0.875, -1.339], [-0.553, 1.395, -2.763], [2.295, 2.113, -0.535], [1.497, 2.480, -0.145], [2.688, 2.862, -0.992], [0.222, 0.134, 0.302], [-0.517, -0.436, 0.399], [0.899, -0.538, 0.039], [-0.175, -1.934, -2.743], [-0.445, -1.552, -3.585], [-0.095, -1.023, -2.391], [-2.001, -1.454, 1.608], [-2.538, -2.239, 1.637], [-2.695, -0.785, 1.661], [0.020, 3.086, 0.975], [-0.767, 2.681, 0.768], [0.314, 2.849, 1.855], [3.721, 0.633, 1.024], [3.868, -0.158, 0.508], [3.224, 1.305, 0.462], [1.751, -1.971, -0.369], [1.190, -2.014, -1.120], [2.564, -1.572, -0.718], [-1.413, 1.042, 2.503], [-1.540, 1.227, 1.558], [-2.018, 1.676, 2.933]],
  "atomic_forces_ev_per_a": [[-0.54, 0.30, 0.47], [0.16, -0.58, 0.03], [0.52, -0.15, -0.39], [-0.48, 0.44, -0.43], [0.17, -0.34, 0.47], [0.77, -0.41, 0.39], [-0.41, 0.14, -1.01], [-0.65, 0.07, 0.68], [0.46, 0.09, -0.15], [0.78, 0.62, 0.63], [-0.95, 0.19, 0.17], [0.32, -1.31, -0.97], [-0.15, -0.70, 2.04], [1.14, 0.38, -1.04], [-1.06, 0.28, -0.48], [-1.72, 0.36, -0.33], [0.39, -0.68, -0.45], [1.14, 0.61, 0.53], [-0.49, 0.64, -4.07], [-0.37, 0.39, 3.09], [0.73, -0.78, 0.84], [0.24, 0.76, -0.62], [-0.95, 0.02, 0.60], [0.24, 0.17, -0.03], [0.88, 0.66, -0.66], [-1.46, -1.00, 0.52], [0.22, 0.25, 0.36], [-0.17, 1.14, -0.30], [-0.06, -0.99, -0.85], [0.27, -0.15, 0.84], [-0.97, 0.66, -0.35], [0.04, -1.15, -0.19], [0.48, 0.31, 0.46], [3.36, 2.24, -0.07], [-2.58, -1.50, -0.34], [-0.27, -0.40, 0.22], [-0.09, 1.03, -0.20], [-0.02, -0.08, -0.22], [0.84, -1.25, 0.55], [1.28, 0.54, 1.14], [-0.88, -0.62, -1.50], [-0.27, -0.17, -0.11], [-0.81, 0.69, 0.19], [0.41, -0.30, 0.56], [0.51, -0.39, 0.00]]
}



[2]
{
  "formula": "H32N5O14S2",
  "method": "ωB97M-V with the def2-TZVPD basis set",
  "homo_energy_ev": -6.19,
  "energy_ev": -58284.79651,
  "lumo_ev": -4.45,
  "charge": 1,

In early 2018, the company launched WhatsApp Business, a standalone app catered to small business owners so they can easily manage everyday interactions with customers.

Though it offers plenty of useful features, this free-to-use app is ultimately insufficient for larger enterprises that need to communicate with customers at scale.

So in August 2018, the WhatsApp Business API was rolled out.

To learn more about WhatsApp’s business tools, we recommend that you give our article on the differences between WhatsApp Messenger, WhatsApp Business App, and Business API a read.

Advantages of Whatsapp Business API

Designed for growing businesses and bigger companies, the WhatsApp Business API has a lot to offer. Some of its benefits include:

  • Having a centralized dashboard and shared team inbox for an easy chat and customer management
  • Allowing multiple users to sign in to the dashboard at once
  • Permitting third-party software integration
  • Sending programmatic responses to customers’ queries
  • Providing verification of an official business account via a green checkmark
  • Tracking of performance and key metrics
  • Etc.

With so much to offer, it’s no wonder that more and more organizations around the world are turning to WhatsApp Business API to manage their communications with their customers.

Communication in Times of Uncertainty

The large-scale broadcast that WhatsApp Business API offers has become particularly pertinent in recent months with the spread of the coronavirus pandemic.

Governments aside, even the World Health Organization has jumped on the bandwagon to offer messaging services on WhatsApp for people looking for the latest information on COVID-19.

WhatsApp Business API Integration

As mentioned, one of the advantages of WhatsApp Business API is that it offers plenty of integrations with other systems like CRMs, contact centre tools, ticketing platforms, etc.

Without question, the most sought-after integration is with popular CRM software like HubSpot, Salesforce, to name a few.

If you’re already using WhatsApp to interact with your clients and are thinking about integrating it with existing systems your business is using, the first step would be to get WhatsApp’s approval to access and use its business API.

In the next section, we’ll explore how you can do that.

Accessing WhatsApp Business API

Gaining access to the WhatsApp Business API is a process that’s simple yet complicated at the same time — depending on the number of resources you have and are willing to dedicate and what route you take.

Keep in mind that APIs are essentially a set of functions and procedures that transmit information between different applications. On its own, it has no front-end interface.

In layman terms, it means that a top layer of design is needed so that you can easily sort, interpret, and understand the information that’s being sent and received, which can be very technical.

So unless you and your team are trained (and willing) to read endless lines of code, you’ll need a dashboard or panel to visually organize the information to comprehend and manage the data and code that’s going back and forth.

This leaves you with two options: developing a platform in-house or hiring an external provider.

If you have an internal team of developers, you can sign up for access on WhatsApp’s website yourself and then commission your team to create a platform to interpret the API.

However, there’s a big “but” to this process.

Given the number of elements involved (segmenting customers, handling queries, managing orders, automating replies, tracking metrics, etc.), this can all be pretty time-consuming and not to mention a significant drain on resources.

The page is interrupted by data records >
+++
Entry 1:
The following is a DFT calculation (ωB97M-V with the def2-TZVPD basis set) of 2 unconnected molecules or ions with the total composition C8H17N3O in a non-equilibrium geometry.

* charge: 0
* strongest force on any atom: 0.050 hartree/bohr
* HOMO-LUMO gap: 9.5 eV
* LUMO: 0.61 eV
* 2S+1: 1
* calculated total energy: -15086.607 eV
* ΔE to the lowest compared entry with this formula, charge and spin: 2.7026 eV
* SMILES string: CC[C@@H](C)NC.Cc1cnon1

Cartesian coordinates (Å):
O (1.67045, 2.35828, 1.53556)
N (0.84400, -0.71752, -0.05506)
N (0.35317, 2.58534, 1.31100)
N (1.84281, 1.19449, 2.21118)
C (0.27845, -1.92712, -2.06287)
C (-0.26337, -1.07366, -0.94278)
C (-0.09083, 1.11486, -2.18977)
C (1.48043, -1.86308, 0.59937)
C (0.61613, 0.79883, 2.46755)
C (-0.30460, 1.62077, 1.84391)
C (-1.83079, 1.51340, 2.00219)
C (-0.97735, 0.15603, -1.44966)
H (0.75913, -2.68190, 0.81095)
H (-1.02087, -1.67594, -0.38625)
H (-1.82462, -0.16874, -2.07949)
H (2.22227, -2.26734, -0.10977)
H (0.41272, -0.13666, 0.64202)
H (-0.44583, -1.95288, -2.88366)
H (-2.25127, 2.51455, 2.10643)
H (-2.18298, 0.89786, 2.83699)
H (0.35700, -0.12537, 3.01493)
H (-0.63188, 2.03451, -2.43828)
H (0.28030, 0.68395, -3.12706)
H (1.22389, -1.47732, -2.40858)
H (1.97187, -1.55801, 1.52064)
H (0.50445, -2.95187, -1.70805)
H (-1.45320, 0.64272, -0.58328)
H (0.76812, 1.35279, -1.57387)
H (-2.30757, 1.10900, 1.09572)

natural (NBO) atomic charge list, values in e, 2 entries: atom 1 (O): -0.12, atom 2 (N): -0.63

---

Entry 2:
The following is a DFT calculation (ωB97M-V with the def2-TZVPD basis set) of 2 unconnected molecules or ions with the total composition C8H17N3O in a non-equilibrium geometry.

* charge: 0
* strongest force on any atom: 0.023 hartree/bohr
* HOMO-LUMO gap: 9.9 eV
* LUMO: 0.92 eV
* 2S+1: 1
* calculated total energy: -15088.345 eV
* ΔE to the lowest compared entry with this formula, charge and spin: 0.9650 eV
* SMILES string: C[C@H]1[C@H](C)[C@H]1C.N/N=C\C(N)=O

Cartesian coordinates (Å):
O (-0.70423, 2.56660, 1.81804)
N (-1.69770, 0.00159, 1.68424)
N (-2.88046, 0.58579, 1.78889)
N (-2.25407, 4.09846, 2.44638)
C (-1.86660, 2.83719, 2.10029)
C (1.52044, -1.73206, 0.68004)
C (1.63316, -2.59979, -3.12807)
C (1.74671, -1.69215, -1.92558)
C (0.89207, -1.89592, -0.69879)
C (0.68537, -0.67641, -1.55279)
C (-2.98267, 1.82144, 2.08247)
C (1.10146, 0.68816, -1.00693)
H (-1.71611, -0.89161, 1.23414)
H (1.50016, 1.34190, -1.77232)
H (2.49284, -1.23106, 0.64190)
H (0.25860, 1.21020, -0.56613)
H (2.03435, -2.09792, -4.01780)
H (-0.20734, -0.66927, -2.19021)
H (0.15234, -2.68569, -0.75323)
H (2.22628, -3.50377, -2.95450)
H (2.74393, -1.30233, -1.73452)
H (1.88684, 0.61335, -0.26773)
H (-4.00313, 2.17682, 2.21715)
H (-0.87293, 0.59877, 1.60418)
H (1.64710, -2.72382, 1.11449)
H (-3.21042, 4.37180, 2.64043)
H (0.84988, -1.16036, 1.33397)
H (0.59250, -2.90923, -3.30571)
H (-1.56838, 4.85933, 2.48771)
+++

A quick and easier solution would be to partner up with a WhatsApp Business Solution Provider (BSP) like WATI and use the platform they’ve created.

Not only is this an immediate solution, but you can also do away with the technicalities and headaches that come with creating your own. Plus, as you’ll be working with WhatsApp-approved partners, you can rest assured that their services are fully compliant and compatible.

WhatsApp Business API Main Messaging Features

Once you have your WhatsApp Business API set up, you can start communicating with your customers.

However, there’s one important aspect of its messaging feature that must be highlighted.

Interaction via the WhatsApp Business API is through an opt-in service only. This means that, as a business, you can only communicate with customer:

  1. Who has consented to receive WhatsApp messages and notifications from you
  2. Who sends you a WhatsApp message first

With the latter, there is a 24-hour window (from the customer’s last message) during which businesses can respond at no cost. Any messages sent after this period expires will incur a charge to be borne by the business and varies according to the customer’s country.

Charging to reply after 24 hours have passed is WhatsApp’s way of encouraging prompt responses from businesses. This will, in turn, increase consumer satisfaction with communicating with businesses through WhatsApp, which will ultimately create a preference for the messaging app over other communication channels.

-- Quantum chemistry results that have nothing to do with the page --
~~~
Record 1
Entry from OMol25: C2H3O4P as an isolated structure (ωB97M-V with the def2-TZVPD basis set).

E_LUMO, eV: 7.28
Net charge: -2
DFT total energy, Eh: -720.320023
Frontier orbital gap, eV: 6.23
Relative energy (zero: lowest compared OMol25 entry of this formula, charge and spin), kcal per mole: 26.0

Structure (XYZ):
```
10
Properties=species:S:1:pos:R:3:forces:R:3:nbo_charge:R:1
C -1.60985 0.25224 0.16245 1.12 -1.09 0.58 0.7602
C -0.34435 -0.76709 0.06642 -0.55 3.44 3.77 -0.8847
O -1.50749 1.31324 -0.48009 0.44 0.84 -0.88 -0.8310
O 2.75865 -0.88323 -0.04843 0.80 -1.03 -0.38 -1.2181
O -2.59901 -0.05691 0.87968 0.17 -0.46 0.11 -0.8419
O 1.62479 1.36899 -0.54875 -1.01 -1.37 1.05 -1.0854
P 1.79236 0.06010 0.58638 -1.76 0.63 -0.25 1.2304
H -0.22547 -0.98391 -0.91989 0.49 -1.42 -2.73 0.1789
H -0.53867 -1.48297 0.85501 0.28 -0.86 -0.45 0.1842
H 0.64905 1.17954 -0.55278 0.03 1.31 -0.82 0.5074
```
Forces are in eV/Å.

Record 2
Entry from OMol25: one molecule with the formula C5H10O2 (ωB97M-V with the def2-TZVPD basis set).

E_LUMO, eV: 0.83
Net charge: 0
DFT total energy, Eh: -346.983409
Frontier orbital gap, eV: 10.81
SMILES string: O[C@H]1CC[C@H](O)C1
Relative energy (zero: lowest compared OMol25 entry of this formula, charge and spin), kcal per mole: 26.4

Structure (XYZ):
```
17
Properties=species:S:1:pos:R:3:forces:R:3:nbo_charge:R:1
O 0.04045 -1.05854 -1.89612 0.01 0.12 -0.28 -0.7246
C -0.59747 -0.99783 -0.62597 -0.13 0.04 0.36 0.0979
C 0.47656 -1.36155 0.42130 0.00 -0.03 0.02 -0.4237
C 0.97034 -0.01546 1.01291 0.06 0.02 0.04 -0.4212
C 0.33530 1.07279 0.13534 0.05 -0.50 -0.10 0.0978
O 0.19988 2.28575 0.85290 -0.25 0.27 -0.16 -0.7150
C -0.99320 0.42805 -0.25702 0.02 0.17 0.05 -0.4589
H -0.29681 -0.35226 -2.45696 -0.08 -0.12 -0.01 0.4658
H -1.46158 -1.67689 -0.60560 0.20 0.05 -0.06 0.1689
H 0.07899 -2.02467 1.19818 0.05 0.16 -0.14 0.2108
H 1.26919 -1.90291 -0.10397 -0.10 0.06 0.16 0.2282
H 2.06101 0.05561 1.05010 -0.16 0.02 -0.02 0.2166
H 0.59977 0.12632 2.03482 0.02 -0.02 -0.15 0.2130
H 0.94925 1.19754 -0.77278 -0.10 0.21 0.23 0.1598
H -0.47889 2.83385 0.42569 0.40 -0.27 0.15 0.4673
H -1.62966 0.41742 0.63641 -0.02 -0.04 -0.12 0.2172
H -1.52313 0.97279 -1.04922 0.02 -0.16 0.02 0.2001
```
Forces are in eV/Å.

Record 3
Entry from OMol25: one molecule with the formula C5H7NO (ωB97M-V with the def2-TZVPD basis set).

E_LUMO, eV: 0.73
Net charge: 0
DFT total energy, Eh: -324.581949
Frontier orbital gap, eV: 10.69
SMILES string: N#CCC1(O)CC1
Relative energy (zero: lowest compared OMol25 entry of this formula, charge and spin), kcal per mole: 89.4

Structure (XYZ):
```
14
Properties=species:S:1:pos:R:3:forces:R:3:nbo_charge:R:1
N -3.11511 0.08235 -0.81588 1.14 0.55 0.21 -0.3213
C -2.07660 0.55896 -0.62985 -1.12 -0.41 -0.19 0.2925
C -0.73759 1.10828 -0.38287 0.04 -0.06 -0.03 -0.5278
C 0.23181 -0.00806 -0.09529 -0.60 -0.93 -0.77 0.2285
O 0.37776 -0.94181 -1.31303 -1.80 0.51 0.47 -0.7388
C 1.61650 -0.01790 0.38681 0.17 -0.39 -0.84 -0.5273
~~~

Complying With WhatsApp’s Policies

As the saying goes: My house, my rules.

There’s no surprise here — using WhatsApp’s Business API will require you to comply with their policies and guidelines.

These are in place to protect consumers and prevent illicit transactions from taking place on its platform. Some, like prohibiting the sale of drugs and weapons, are expected. But there are some that may not be quite as obvious.

For more information and to be on the safe side, we highly recommend giving WhatsApp’s Commerce Policy and Business Policy a thorough read.

Note that any failure to comply or violation of their policies may result in your access to the WhatsApp Business API being revoked.

The Last Word on WhatsApp Business API

The benefits of WhatsApp Business API are clear.

As one of the biggest communication channels available on the market, brands that have yet to take advantage of what it has to offer are losing out.

If you’re looking to get started with WhatsApp Business API, we welcome you to check out how our team at WATI can help and sign up for a free trial today.

WATI is a product of Clare.AI, a digital assistant startup that combines the latest advances in machine learning and artificial intelligence to create innovative digital tools and provide top-notch customer communication experiences to its clients. Clare.AI’s solutions have been proudly adopted by multinational firms and Fortune 500 companies including Cigna, AXA, Birdie, Everbright Sun Hung Kai, Fidelity, Bupa, and lots more.

